Started by mansa, June 26, 2006, 11:56:51 PM

-- Someone pasted molecular data at this point --
[1]
72
Properties=species:S:1:pos:R:3:forces:R:3:mulliken_spin:R:1 method="wB97M-V/def2-TZVPD" e_lumo_ha="0.0950 / 0.0949" e_homo_ev="-4.59 / -4.59" orbital_gap_ev="7.18 / 7.18" s_squared=2.008 spin_multiplicity=3 total_charge=-1 fmax_ha_per_bohr=0.013
C -2.123 -3.898 1.341 -0.152 -0.175 -0.096 0.002
H -5.008 1.215 -3.496 0.038 -0.013 0.004 -0.001
H 1.674 1.072 3.166 -0.022 -0.064 -0.007 0.000
C -2.523 1.440 -1.972 0.018 -0.064 -0.087 0.017
H -1.249 -3.356 0.977 -0.109 0.073 0.008 -0.002
H 4.805 -0.376 -0.542 -0.010 -0.005 -0.013 -0.016
C 5.561 0.364 -0.281 -0.066 -0.030 0.020 0.028
H -4.068 -3.389 -2.664 0.022 0.013 0.047 0.004
H 6.810 2.598 0.471 0.017 0.017 0.001 0.001
H -5.696 -1.643 -2.660 0.057 -0.018 0.039 0.002
H 6.166 2.997 2.876 0.025 -0.015 0.014 0.002
H -3.773 -3.071 -4.380 0.008 0.008 -0.019 0.000
O -1.466 -2.938 3.514 0.116 0.046 -0.164 0.000
O -3.410 -1.891 -0.931 0.112 -0.369 0.080 0.540
H 5.894 2.395 -1.943 0.012 -0.017 -0.001 0.000
H 4.505 3.400 -1.505 -0.048 -0.007 0.015 0.004
H 1.228 0.850 1.487 -0.016 -0.011 -0.004 -0.002
H -3.200 0.381 -4.505 0.008 0.016 0.038 0.001
H 3.138 -0.815 1.327 -0.030 -0.008 0.005 -0.017
H 1.511 2.484 2.105 0.077 0.010 -0.082 0.002
H 4.244 1.797 -2.193 -0.003 -0.014 0.002 -0.005
N -3.155 -0.985 -1.788 -0.606 0.242 0.037 0.396
C -4.872 0.723 -1.388 -0.189 -0.049 -0.080 0.032
H 5.438 3.682 0.671 -0.062 -0.022 -0.026 0.003
N 3.534 1.698 0.386 0.329 0.385 0.395 0.435
H -1.936 0.074 0.340 0.008 0.002 0.007 0.005
H 6.303 0.380 -1.080 0.009 0.051 -0.002 0.002
C 5.638 2.259 2.267 -0.061 -0.040 -0.033 -0.023
H -1.481 1.121 -1.998 0.016 0.009 0.024 -0.010
N 0.748 -1.004 4.317 -0.148 -0.175 -0.206 0.000
H 6.069 0.030 0.619 -0.031 -0.008 0.038 0.001
H -5.428 0.103 -0.679 0.057 -0.047 0.010 0.004
C -3.466 -2.818 -3.364 -0.049 -0.129 -0.037 -0.002
C 1.845 1.449 2.157 -0.230 0.254 0.028 -0.014
O 2.823 2.693 0.023 -0.309 0.084 -0.237 0.525
H 3.751 3.208 2.676 -0.033 -0.014 -0.066 0.003
H -3.061 1.415 0.604 0.018 0.008 0.010 -0.001
H -0.074 -1.324 1.536 0.035 -0.062 0.001 0.000
H 0.373 -1.286 5.219 0.040 0.052 0.090 0.000
C 5.765 2.645 0.794 0.053 0.108 0.147 0.036
H -2.821 -1.198 -5.161 -0.044 -0.033 0.002 0.001
H -2.946 -3.740 0.638 0.118 -0.027 -0.015 0.004
C -5.418 0.482 -2.795 0.064 -0.011 0.023 -0.019
H -1.887 -4.967 1.338 0.119 0.033 0.064 0.000
C 3.314 1.291 1.815 -0.051 -0.515 0.106 -0.018
H 3.269 -0.458 3.042 -0.062 0.024 0.006 0.000
H -5.436 -1.077 -4.305 -0.026 -0.006 -0.012 0.000
C -2.520 -3.417 2.743 -0.093 -0.022 0.143 0.000
C 4.883 2.383 -1.531 0.029 0.106 -0.100 -0.004
C -5.118 -0.941 -3.267 -0.174 0.059 0.039 0.032
H -1.774 -0.492 -3.934 0.011 -0.014 0.001 -0.015
H -2.985 -4.268 3.267 -0.048 0.074 0.039 0.000
H -3.590 -0.257 0.820 -0.001 -0.025 0.001 0.004
C -3.637 -1.318 -3.165 0.273 0.061 -0.277 -0.011
C 4.934 1.762 -0.142 0.126 -0.355 -0.171 -0.018
C 3.647 -0.186 2.057 0.110 -0.016 -0.099 0.032
Ga -0.696 -1.276 3.027 0.259 0.242 0.175 0.000
H -5.023 1.763 -1.090 -0.018 0.016 0.008 0.000

Oh amoeba I think that's a grand idea, the blurb for new players thing for character apps. Something like:

Congratulations, your character has been approved! Please check (insert url here) to see what your character would know in Tuluk, and (insert url here) to see what your character would know in Allanak. And no matter which city your character shows up in, he would know there's a war going on, and much of its citenzry has taken the call to arms and is currently outside the city, defending their territory from the opposition. Check these posts on our General Discussion Board (the GDB, insert url here) to see discussion about the war, and for IMM-generated news that your character would know.

OOC, please note that a lot of the player base is currently outside both cities, even during peak time. The HRPT is an ongoing series of events that may or may not last another week or longer, depending on how players and their characters react to all the stuff that's going on.

Welcome to Armageddon!
Talia said: Notice to all: Do not mess with Lizzie's GDB. She will cut you.
Delirium said: Notice to all: do not mess with Lizzie's soap. She will cut you.

I think that's a bit...too much.

I'd rather that the acceptance email simply encourage people to check the GDB Staff Announcements as well as the MOTD for recent events both codewise and storywise.
Quote from: MalifaxisWe need to listen to spawnloser.
Quote from: Reiterationspawnloser knows all

Calculated molecules, as found in the file.
Entry 1:
The following is a DFT calculation (ωB97M-V/def2-TZVPD) of C2H3I3O as an isolated structure.

XYZ file:
```
9
Properties=species:S:1:pos:R:3:forces:R:3:lowdin_charge:R:1
C -0.124 0.940 0.694 0.2 0.4 0.4 -0.7554
C 0.805 0.020 0.856 -0.3 -0.3 0.2 -0.8755
O -1.423 -0.862 -1.302 0.0 -0.5 0.4 -0.7742
I 0.578 2.645 -0.330 -0.5 0.0 0.2 0.7733
I -0.029 -0.516 -2.643 0.1 -0.2 -0.2 0.8387
I 0.612 -1.801 1.862 -0.3 0.1 -0.1 0.8108
H -1.140 0.974 1.109 0.6 -0.1 -0.4 0.0531
H 1.781 0.125 0.430 0.3 0.0 -0.1 -0.0074
H -1.060 -1.525 -0.676 -0.2 0.4 -0.4 -0.0634
```
Positions in Å, forces in eV/Å.

Its HOMO-LUMO gap is 8.33 eV. The total charge is 0. The LUMO energy comes out at -0.6 eV. For the energy relative to the best compared isomer or geometry (same formula, charge and spin), the calculation gives 29.5 kcal/mol. For the energy, the calculation gives -28469.9941 eV. The strongest force on any atom comes out at 0.014 hartree/bohr.

Entry 2:
The following is a DFT calculation (ωB97M-V/def2-TZVPD) of C2H3I3O2 as an isolated structure.

XYZ file:
```
10
Properties=species:S:1:pos:R:3:forces:R:3:lowdin_charge:R:1
C -0.396 0.804 -0.424 0.0 0.7 -0.4 -1.2341
C -0.822 -0.231 0.311 0.3 0.2 -0.5 -0.7114
O -1.070 -1.471 -0.144 -0.2 -0.2 0.3 0.0517
O -1.011 -0.093 1.625 -0.1 -0.4 0.1 0.0316
I -0.186 0.643 -2.519 0.0 0.0 0.7 0.8138
I -0.071 2.664 0.499 0.0 -0.5 -0.4 0.8020
I 3.136 -0.350 0.476 0.2 -0.4 0.5 0.4458
H 2.619 0.536 -0.717 -0.2 0.4 -0.5 -0.3840
H -0.973 -1.544 -1.106 0.1 0.3 0.1 0.0513
H -1.227 -0.958 2.000 0.0 0.0 0.0 0.1332
```
Positions in Å, forces in eV/Å.

Its HOMO-LUMO gap is 8.36 eV. The total charge is 0. The LUMO energy comes out at -0.1 eV. For the energy relative to the best compared isomer or geometry (same formula, charge and spin), the calculation gives 6.7 kcal/mol. For the energy, the calculation gives -30518.6264 eV. The strongest force on any atom comes out at 0.015 hartree/bohr.

----------

[1]
This record from the Open Molecules 2025 dataset describes a molecular structure, C38H35Cl5N5O2S4Sn at a distorted geometry. The level of theory is ωB97M-V/def2-TZVPD.

**LUMO energy**: 2.0 eV
**M**: 1017.98 g/mol
**Highest occupied orbital energy**: -4.569 eV
**F_max**: 0.022 Eh/bohr
**Kohn-Sham gap**: 6.582 eV
**Energy above the lowest of the compared OMol25 structures with the same formula, charge and spin**: 15.25 kcal/mol
**Net charge**: -1

Last column: Löwdin charge in e.
Geometry (Å):
Sn -0.38403 0.38161 -0.98458  1.3089
C -3.00462 0.03792 -2.65489  -0.0867
N -2.35137 -0.83052 -1.66087  -0.3171
C -3.21849 -0.97790 -0.48983  -0.1306
C -2.04521 -2.08361 -2.32830  -0.2093
C -3.00108 -3.06469 -2.52217  -0.0368
C -2.75411 -4.15816 -3.34149  -0.1111
C -1.55218 -4.21653 -4.03028  -0.1055
C -0.57610 -3.25797 -3.82268  -0.0368
C -0.76754 -2.20156 -2.91211  -0.2348
N 0.14134 -1.21465 -2.62947  -0.0473
C 1.46877 -1.30481 -2.98638  -0.2692
C 2.22705 -2.48649 -3.02499  -0.0604
C 3.56313 -2.47519 -3.39309  -0.1113
The calculated molecules stop here.

Quote from: SpoonA magicker is kind of like a mousetrap, the fear is the cheese. But this cheese has an AK47.

Play in Luir. Hate/Love both sides equally.
"When I was a fighting man, the kettle-drums they beat;
The people scattered gold-dust before my horse's feet;
But now I am a great king, the people hound my track
With poison in my wine-cup, and daggers at my back."

Oh, Allanak... home sweet home...

This is, of course, purely my opinion, but, I agree that the average commoner who lives underneath the thumb of the highlord's minions and his inbred distant cousins would have very little reason for thinking to himself, "Oi! They're attacking my city! That's so not cool! I should do something about this!" and then running to the nearest soldier to tell him, "'allo, 'ow can I 'elp, sirrah?"

In fact, the average commoner would be more likely to spend his time praying like a madman that the templars and their whips don't come down his street next and put him on the front lines of battle. There would likely be many people who had friends, relatives, or acquaintances who were on the front lines by choice, necessity, or force. And there has been player driven IC spin to address this commoner view.

Now, Joe commoner who has abilities that could elevate his status - living under the heavy thumb of the Highlord is a life of toil and low reward - might have something to prove and decide to use the effort as a means to grab a new degree of personal power.  Who cares why they're doing it? Templars and Nobles of the city do crazy things all the time. You either duck and cover or get sucked in. If the latter, you play hard or you die. Kind of like being thrown in the arena.

Jane commoner who asks too many questions and has a rebellious heart might see the effort and ask why, then make it her personal task to find out IC, making herself indisposable to people who matter, then overhearing the right conversations along the way. Or, she may decide that it's just another clever ruse dictated by the Law of the citystate, and decide her position should be on the other side of this.

I appreciate wholly what you're saying, but I personally think it is more interesting to see what 200 players can come up with as far as rumors, quackery, propaganda, and reaction to this. There is so much that you can do as an individual to push this in game instead of waiting for and demanding a cue from the staff.

I imagine Tuluki bards full-working on propaganda and such things. At least, that is what I think they do right now. I might be wrong, indeed.

Quote from: "davien"I appreciate wholly what you're saying, but I personally think it is more interesting to see what 200 players can come up with as far as rumors, quackery, propaganda, and reaction to this. There is so much that you can do as an individual to push this in game instead of waiting for and demanding a cue from the staff.

Isn't it funny how people read into things stuff never stated. I don't think it is being asked for by the staff. At least I know I am not.  I am asking the -players- to generate this. Involve yourself in your city of choice.  Take leave, go home, spread some stories, then go back to the front lines.  As one of those who knows nada, I'm not in this group.
Quote from: "The Philosopher Jagger"You can't always get what you want.

I didn't read anything into it that isn't there. I am agreeing with it. =p

The conflict between Allanak and Tuluk has been going on for Ages, but it isn't always an open war, with armies battling around. Yes, the history is full of talk of battles, but the battles usually tend to be at least 40 IC years apart. What's left out is the in-between years of simmering conflict and "cold war", probably because they aren't as exciting history.

Open warfare between the armies of both city-states is a BIG thing. It is not at all common and not something to dismiss. The soldiers at the city gates are there to keep criminals from escaping and keep bandits/rogue mages/desert beasties out, not to defend against the next attack. In fact, I'd bet that prior to this conflict, most of the "enlisted men" in either army probably would not have fought in a major battle against the opposing city.

Would all commoners want to get involved in the war? Of course not. To many survival-concious people, being out in the middle of the desert among raptors, mekillots, rogue mages, templars, gemmers, and huge armies wanting to kill each other is probably the LAST place you would want to be. Life in the cities would still be going on as normal, albeit with fewer militia and templars in the streets. Most people's minds would be on the war, but I don't think everyone needs to get worked up into a patriotic zeal because there is a war on. Life for most Zalanthan commoners is probably so hard anyway that they don't have time to worry about which army won what battle.

I hate to throw the "Find out IC" card, but I really think it would be much more fun to try and learn the cause of the conflict than to have it explained anywhere else. Neither city really has any need to explain why they're going to war to their people, and besides the (valid) benefits of using spin to incite patriotism, they probably don't want to waste the time. On the other hand, bards, nobles, and other people could (and are, from what I see) definitely get into the PR arena and start telling the common masses to believe things.

In the end, I think the HRPT is a classic example of never being able to please everybody at once. There are definitely valid concerns with the cities being emptier than usual, but all in all, they're still playable. In exchange, we get a really cool and new event, which seems like it could turn out to be a major turning point in Zalanthan history. I used to see complaints on the boards that common PCs found it too hard to get involved in big plotlines and stuff. Well, here we go. This is a major plot that is right out there in the open, and has a multitude of ways for people to get involved. I'm not sure how you could arrange an event with more opportunities to bring people of wider backgrounds in than this one has. Not everybody is going to be able to be involved all the time, but at least we all know something is going on.

I'm totally supportive of this brand of HRPT/RPT even though I'm not directly able to participate.

It'd be orgasmic and totally believable if they sprung up in different locations to allow new groups to participate and react to the raging battles betwixt two huge forces.

Personally, of all the groups starved for attention I find it an 'about time' sort of thing for all those military PC's to have something more engaging than a one-shot adventure to do or to stand around their merchant/noble chewing their spit.

The 'dry' times between battles will always be longer than the 'wet' times of active engagements, so really.. don't sweat it folks. I'd advise planning out the lifespans of your characters for more than an RL week or two.

Hot Dancer
Anonymous:  I don't get why magickers are so amazingly powerful in Arm.

Anonymous:  I mean... the concept of making one class completely dominating, and able to crush any other class after 5 days of power-playing, seems ridiculous to me.

This would be a great chance for people to put the bio command to some good use, if you guys already haven't. Record the battles you've been in, bio the deaths you've witnessed, add entries about your fallen friends, and other interesting events that may have taken. The HRPT is a nice way to rack up on bio entries, if you do not have any.

Just a reminder

>drop pants
You do not have that item.

Quote from: "Yokunama"This would be a great chance for people to put the bio command to some good use, if you guys already haven't. Record the battles you've been in, bio the deaths you've witnessed, add entries about your fallen friends, and other interesting events that may have taken. The HRPT is a nice way to rack up on bio entries, if you do not have any.

Just a reminder

I can just see...

The tall, muscular man solidly slashes a unit of soldiers.

A unit of soldiers slashes the huge, furry man's head doing horrendous damage.
The huge, furry man crumples to the ground.

• Misplaced quantum chemistry results:
~~~
No. 1
# C4H11NO2

A cluster of 3 separate species, C4H11NO2 in total at a distorted geometry (ωB97M-V/def2-TZVPD, the Open Molecules 2025 dataset).

Its SMILES is C=C/C=C/N.O.O. For the energy, the calculation gives -364.1098 Eh. The relative energy (zero: lowest compared OMol25 entry of this formula, charge and spin) comes out at 4.310 eV.

Element x y z (Å)
N (-1.798, -0.119, 1.781)
C (-1.087, -0.249, 0.603)
C (-1.552, 0.092, -0.619)
C (-1.301, -0.647, -1.850)
C (-1.241, -2.075, -2.007)
H (-2.019, 0.902, 2.145)
H (-1.613, -0.870, 2.438)
H (-0.110, -0.839, 0.560)
H (-2.273, 0.966, -0.623)
H (-1.038, -0.037, -2.849)
H (-0.370, -2.315, -2.632)
H (-1.709, -2.756, -1.258)
H (3.302, 3.876, 2.458)
H (3.210, 2.252, 2.704)
O (3.258, 2.964, 2.066)
H (2.053, 0.387, -1.261)
H (2.009, -1.193, -1.027)
O (2.279, -0.339, -0.628)

No. 2
# CH5OPS

A structure of composition CH5OPS at a distorted geometry (ωB97M-V/def2-TZVPD, the Open Molecules 2025 dataset).

For the energy, the calculation gives -855.8789 Eh. The relative energy (zero: lowest compared OMol25 entry of this formula, charge and spin) comes out at 0.586 eV.

Element x y z (Å)
C (1.060, -0.022, -0.509)
O (-0.770, -0.729, 1.196)
P (-0.616, 0.193, -0.039)
S (-1.123, 2.045, 0.407)
H (1.255, 0.293, -1.533)
H (1.780, 0.560, 0.128)
H (1.262, -1.071, -0.248)
H (-1.417, -0.385, 1.803)
H (-1.430, -0.885, -1.204)

No. 3
# C2H7NS

The molecule C2H7NS at a distorted geometry (ωB97M-V/def2-TZVPD, the Open Molecules 2025 dataset).

Its SMILES is CSCN. For the energy, the calculation gives -533.2975 Eh. The relative energy (zero: lowest compared OMol25 entry of this formula, charge and spin) comes out at 0.897 eV.

Element x y z (Å)
C (1.331, 0.728, 0.113)
S (0.488, 0.301, -1.429)
H (2.392, 0.624, -0.227)
H (1.137, -0.135, 0.763)
H (1.231, 1.669, 0.698)
~~~

A unit of soldiers viciously slashes the tall, muscular man in the neck.
The tall, muscular man crumples to the ground.

write bio 5
Today, my best friends, Jim and Tim died. It was really too bad, I was just getting to know them.

A unit of soldiers slashes your head, doing frightening damage.

Welcome to Armageddon!

Please bio your characters responsibly.

Quote from: "Hot_Dancer"I'd advise planning out the lifespans of your characters for more than an RL week or two.

Unless, of course, you're in the HRPT...
"I have seen him show most of the attributes one expects of a noble: courtesy, kindness, and honor.  I would also say he is one of the most bloodthirsty bastards I have ever met."

So how are the rest of my fellow city-bound characters doing now with the HRPT? I just got thrown into some new fun stuff related to the war last night and I'm looking forward to what may happen. How about y'all?
Quote from: Vanth on February 13, 2008, 05:27:50 PM
I'm gonna go all Gimfalisette on you guys and lay down some numbers.

It doesn't really feel like a war to my PC, more like a permanent skirmish somewhere in the middle of nowhere.. I kind of abandoned the idea and stick to my own rp, I know for a fact that where I play it's extremely hard to come in contact with it if you want to join up, or serve in some ways. But I'm not going to complain, I found a place where there's still a lot of players left, and I'm having the most fun I've had in a long time, but it's not war-related :)
"When I was a fighting man, the kettle-drums they beat;
The people scattered gold-dust before my horse's feet;
But now I am a great king, the people hound my track
With poison in my wine-cup, and daggers at my back."

Y'know, just causing a crimewave while all those pesky templars are busy.

I think it is a great idea that has been handled really well. I've gotten to see a lot of interesting things and a lot of PCs in scenarios a lot more interesting than the bar.

As an offpeaker, however, I often feel like I'm engaged in vwar, rather than an active one. I know nothing major can happen while all of the officers are asleep, and I also know that a lot of when/what happens is largely dependant on players. However, it would be nice to see some offpeak Imms in charge of throwing out a few mini-encounters. Then again, this may already be happening, and I've just been unfortunate enough to miss it. It seemed to be the case, early on, so I may just be managing to dodge events with my inconsistant playing times. :)
eeling YB, you think:
    "I can't believe I just said that."

I am actually feeling that the event is a bit rigid at the moment. I won't go into too much detail, but it feels like the actions of the player-characters are being somewhat glossed over, or that one side is being given more behind-the-scenes VNPC support to prevent the event from coming to an anticlimactic halt. Then again, I can only see the actions of one set of PCs so I may be wrong!

Quote from: "Gimfalisette"So how are the rest of my fellow city-bound characters doing now with the HRPT? I just got thrown into some new fun stuff related to the war last night and I'm looking forward to what may happen. How about y'all?

Other than the posts on the tavern boards and Halaster's notes on the GDB, my character is uninvolved. It makes sense to some extent, given the IC relationship between my PC and the rest of the game. But it would be fun to hear news from other PCs instead of relying on posts to learn about what's going on. I think my character might care more, if she spoke personally with people who had some kind of direct involvement with it all. For now though she doesn't care, because she's so far removed from the situation she isn't being given any reason to care. As a player it's frustrating. As a PC, my gal's fine with it :)

L. Stanson
Talia said: Notice to all: Do not mess with Lizzie's GDB. She will cut you.
Delirium said: Notice to all: do not mess with Lizzie's soap. She will cut you.

If you wish up the imms are generally courteous enough to animate an NPC member of a city's military in order for you to volunteer / find out how to get involved / etc. Just be patient, someone is not always around to fill the request.

And also there are often character names on the rumor board. You can always contact a character that's mentioned and inquire about the news, or what you can do to get involved, etc. Really really.
Quote from: Vanth on February 13, 2008, 05:27:50 PM
I'm gonna go all Gimfalisette on you guys and lay down some numbers.

Not only is that 100% on point, but I would like to encourage other PCs who are involved to get themselves on city rumour boards when appropriate. If your PC visits on leave, a simple "Rumours spread the sergeant so-and-so, recently passing through on leave, was involved in (war news here). etc., etc." Finding some excuse to include a few PC names is not particularly jarring and is a courtesy to other players who might want to get involved. The PCs mentioned on the boards last week, or the week before, or whatever, probably won't be alive forever!